What is needed: return the lines underneath up to the one that holds "1.50 0.542", that line included.
60
Properties=species:S:1:pos:R:3:mulliken_charge:R:1 method="wB97M-V/def2-TZVPD" gap_ev="6.84 / 7.82" charge=+1 e_lumo_ev="-5.763 / -4.783" spin_multiplicity=3 s2=2.055 e_tot_ev=-138954.050 e_homo_ev="-12.6 / -12.6" largest_force_ev_per_a=0.52
Co -0.73 -0.29 0.09 0.285
C -1.25 3.54 2.21 -1.849
C -1.53 2.84 0.90 1.630
C -1.13 3.69 -0.30 -1.582
C -2.99 2.43 0.81 -1.673
O -0.75 1.62 0.86 0.195
Ge 1.06 1.36 1.22 -0.309
O 0.97 0.45 -0.47 1.039
C 1.82 0.48 -1.66 1.521
C 0.96 0.18 -2.87 -1.695
C 2.41 1.88 -1.74 -1.808
C 2.90 -0.57 -1.48 -1.414
O 0.19 -0.48 1.64 -0.177
C 0.80 -1.72 2.17 1.743
C 0.61 -2.84 1.16 -1.583
C 0.10 -2.01 3.49 -1.476
C 2.27 -1.42 2.38 -1.977
H -1.85 4.45 2.29 0.463
H -0.20 3.83 2.30 0.457
H -1.50 2.89 3.05 0.368
H -1.72 4.61 -0.34 0.485
H -1.28 3.14 -1.23 0.276
H -0.08 3.98 -0.23 0.371
H -3.64 3.31 0.86 0.614
H -3.25 1.77 1.64 0.356
H -3.19 1.93 -0.14 0.244
H 0.16 0.92 -2.98 0.292
H 0.51 -0.81 -2.81 0.339
H 1.58 0.21 -3.77 0.532
H 1.62 2.62 -1.82 0.317
H 3.04 1.96 -2.63 0.463
H 3.04 2.10 -0.88 0.443
H 2.47 -1.57 -1.38 0.235
H 3.52 -0.36 -0.61 0.324
H 3.56 -0.59 -2.35 0.469
H -0.44 -3.10 1.05 0.362
H 1.14 -3.72 1.50 0.542
H 1.03 -2.56 0.19 0.087
H -0.97 -2.15 3.34 0.257
H 0.25 -1.19 4.19 0.360
H 0.51 -2.92 3.93 0.417
H 2.76 -1.19 1.43 0.312
H 2.77 -2.30 2.80 0.494
H 2.42 -0.59 3.07 0.457
O -3.15 -1.20 2.47 -0.548
C -3.31 -1.12 1.29 0.253
N -2.28 -1.40 0.33 -0.139
S -2.81 -1.14 -1.18 1.048
O -2.86 -2.22 -2.09 -0.682
O -1.78 -0.08 -1.53 -0.468
C -4.39 -0.54 -0.78 0.478
C -5.40 -0.15 -1.63 -0.752
C -6.62 0.17 -1.04 -0.532
C -6.79 0.06 0.34 -0.576
C -5.77 -0.37 1.17 -0.591
C -4.55 -0.67 0.58 0.390
H -5.26 -0.09 -2.70 0.513
H -7.44 0.50 -1.66 0.435
H -7.76 0.31 0.77 0.430
H -5.90 -0.46 2.24 0.534
60
Properties=species:S:1:pos:R:3:mulliken_charge:R:1 method="wB97M-V/def2-TZVPD" gap_ev="6.84 / 7.82" charge=+1 e_lumo_ev="-5.763 / -4.783" spin_multiplicity=3 s2=2.055 e_tot_ev=-138954.050 e_homo_ev="-12.6 / -12.6" largest_force_ev_per_a=0.52
Co -0.73 -0.29 0.09 0.285
C -1.25 3.54 2.21 -1.849
C -1.53 2.84 0.90 1.630
C -1.13 3.69 -0.30 -1.582
C -2.99 2.43 0.81 -1.673
O -0.75 1.62 0.86 0.195
Ge 1.06 1.36 1.22 -0.309
O 0.97 0.45 -0.47 1.039
C 1.82 0.48 -1.66 1.521
C 0.96 0.18 -2.87 -1.695
C 2.41 1.88 -1.74 -1.808
C 2.90 -0.57 -1.48 -1.414
O 0.19 -0.48 1.64 -0.177
C 0.80 -1.72 2.17 1.743
C 0.61 -2.84 1.16 -1.583
C 0.10 -2.01 3.49 -1.476
C 2.27 -1.42 2.38 -1.977
H -1.85 4.45 2.29 0.463
H -0.20 3.83 2.30 0.457
H -1.50 2.89 3.05 0.368
H -1.72 4.61 -0.34 0.485
H -1.28 3.14 -1.23 0.276
H -0.08 3.98 -0.23 0.371
H -3.64 3.31 0.86 0.614
H -3.25 1.77 1.64 0.356
H -3.19 1.93 -0.14 0.244
H 0.16 0.92 -2.98 0.292
H 0.51 -0.81 -2.81 0.339
H 1.58 0.21 -3.77 0.532
H 1.62 2.62 -1.82 0.317
H 3.04 1.96 -2.63 0.463
H 3.04 2.10 -0.88 0.443
H 2.47 -1.57 -1.38 0.235
H 3.52 -0.36 -0.61 0.324
H 3.56 -0.59 -2.35 0.469
H -0.44 -3.10 1.05 0.362
H 1.14 -3.72 1.50 0.542